• Activity:
What is needed: repeat all of the material further below character by character.

• Material:
'''
(1)
CaSn3Te4: theoretical powder XRD pattern (a wavelength of 1.5418 Å), based on the GGA-PBE geometry in Alexandria.
Neutral-atom scattering factors, no anomalous dispersion.

Peak list (12 most intense, 15° ≤ 2θ ≤ 90°, sorted by position)
two_theta  I/Imax  index
22.99  2  1 3 0
27.80  100  2 0 1
39.70  64  4 0 0
39.78  13  0 0 2
49.12  14  4 4 0
49.22  14  0 4 2
57.42  13  4 0 2
64.96  30  6 0 1
65.07  6  2 0 3
72.01  13  6 4 1
72.16  13  2 4 3
85.59  6  4 8 2

```
data_CaSn3Te4
_chemical_formula_sum 'Ca2 Sn6 Te8'
_cell_length_a 9.091
_cell_length_b 12.839
_cell_length_c 4.532
_cell_angle_alpha 90.00
_cell_angle_beta 90.00
_cell_angle_gamma 90.00
_space_group_name_H-M_alt 'C m m m'
_space_group_IT_number 65
_space_group_name_Hall '-C 2 2'
loop_
_atom_site_label
_atom_site_type_symbol
_atom_site_fract_x
_atom_site_fract_y
_atom_site_fract_z
_atom_site_occupancy
Ca1 Ca 0.000 0.000 0.000 1
Sn1 Sn 0.000 0.500 0.000 1
Sn2 Sn 0.250 0.250 0.500 1
Te1 Te 0.000 0.249 0.000 1
Te2 Te 0.249 0.000 0.500 1
```

=====

(2)
LaPr2SmTl2: theoretical powder XRD pattern (a wavelength of 1.5418 Å), based on the GGA-PBE geometry in Alexandria.
Neutral-atom scattering factors, no anomalous dispersion.

Peak list (12 most intense, 15° ≤ 2θ ≤ 90°, sorted by position)
two_theta  I/Imax  index
30.53  21  1 0 2
31.00  100  1 3 0
31.78  68  1 1 2
33.14  43  2 0 0
33.62  11  1 3 1
40.60  15  1 3 2
43.90  11  0 4 2
46.05  16  2 2 2
56.10  16  2 4 2
57.86  13  3 3 0
58.35  12  3 1 2
64.27  10  2 1 4

```
data_LaPr2SmTl2
_chemical_formula_sum 'La2 Pr4 Sm2 Tl4'
_cell_length_a 5.406
_cell_length_b 10.237
_cell_length_c 6.967
_cell_angle_alpha 90.00
_cell_angle_beta 90.00
_cell_angle_gamma 90.00
_space_group_name_H-M_alt 'P m c 21'
_space_group_IT_number 26
loop_
_space_group_symop_operation_xyz
'x,y,z'
'-x,-y,z+1/2'
'-x,y,z'
'x,-y,z+1/2'
loop_
_atom_site_label
_atom_site_type_symbol
_atom_site_fract_x
_atom_site_fract_y
_atom_site_fract_z
_atom_site_occupancy
La1 La 0.000 0.040 0.000 1
Pr1 Pr 0.000 0.324 0.338 1
Pr2 Pr 0.500 0.458 0.060 1
Sm1 Sm 0.500 0.180 0.725 1
Tl1 Tl 0.000 0.352 0.811 1
Tl2 Tl 0.500 0.141 0.254 1
```

=====

(3)
Ac11Ni4Hg9: theoretical powder XRD pattern (a wavelength of 1.5418 Å), based on the GGA-PBE geometry in Alexandria.
Neutral-atom scattering factors, no anomalous dispersion.

Peak list (12 most intense, 15° ≤ 2θ ≤ 90°, sorted by position)
two_theta  I/Imax  index
25.90  13  3 5 0
28.57  15  3 1 1
30.11  15  1 5 1
32.27  100  4 0 1
32.85  41  4 6 0
34.38  12  3 5 1
35.37  10  1 9 0
35.81  11  6 2 0
45.42  18  0 0 2
47.14  11  0 12 0
57.17  17  4 6 2
58.28  10  4 12 1

```
data_Ac11Ni4Hg9
_chemical_formula_sum 'Ac22 Ni8 Hg18'
_cell_length_a 15.410
_cell_length_b 23.155
_cell_length_c 3.995
_cell_angle_alpha 90.00
_cell_angle_beta 90.00
_cell_angle_gamma 90.00
_space_group_name_H-M_alt 'C m m m'
_space_group_IT_number 65
_space_group_name_Hall '-C 2 2'
loop_
_atom_site_label
_atom_site_type_symbol
_atom_site_fract_x
_atom_site_fract_y
_atom_site_fract_z
_atom_site_occupancy
Ac1 Ac 0.000 0.000 0.000 1
Ac2 Ac 0.000 0.168 0.000 1
Ac3 Ac 0.000 0.375 0.000 1
Ac4 Ac 0.191 0.500 0.000 1
Ac5 Ac 0.250 0.167 0.000 1
Ni1 Ni 0.149 0.401 0.500 1
Hg1 Hg 0.000 0.500 0.500 1
Hg2 Hg 0.105 0.264 0.500 1
Hg3 Hg 0.145 0.072 0.500 1
```
'''

• Response:
(1)
CaSn3Te4: theoretical powder XRD pattern (a wavelength of 1.5418 Å), based on the GGA-PBE geometry in Alexandria.
Neutral-atom scattering factors, no anomalous dispersion.

Peak list (12 most intense, 15° ≤ 2θ ≤ 90°, sorted by position)
two_theta  I/Imax  index
22.99  2  1 3 0
27.80  100  2 0 1
39.70  64  4 0 0
39.78  13  0 0 2
49.12  14  4 4 0
49.22  14  0 4 2
57.42  13  4 0 2
64.96  30  6 0 1
65.07  6  2 0 3
72.01  13  6 4 1
72.16  13  2 4 3
85.59  6  4 8 2

```
data_CaSn3Te4
_chemical_formula_sum 'Ca2 Sn6 Te8'
_cell_length_a 9.091
_cell_length_b 12.839
_cell_length_c 4.532
_cell_angle_alpha 90.00
_cell_angle_beta 90.00
_cell_angle_gamma 90.00
_space_group_name_H-M_alt 'C m m m'
_space_group_IT_number 65
_space_group_name_Hall '-C 2 2'
loop_
_atom_site_label
_atom_site_type_symbol
_atom_site_fract_x
_atom_site_fract_y
_atom_site_fract_z
_atom_site_occupancy
Ca1 Ca 0.000 0.000 0.000 1
Sn1 Sn 0.000 0.500 0.000 1
Sn2 Sn 0.250 0.250 0.500 1
Te1 Te 0.000 0.249 0.000 1
Te2 Te 0.249 0.000 0.500 1
```

=====

(2)
LaPr2SmTl2: theoretical powder XRD pattern (a wavelength of 1.5418 Å), based on the GGA-PBE geometry in Alexandria.
Neutral-atom scattering factors, no anomalous dispersion.

Peak list (12 most intense, 15° ≤ 2θ ≤ 90°, sorted by position)
two_theta  I/Imax  index
30.53  21  1 0 2
31.00  100  1 3 0
31.78  68  1 1 2
33.14  43  2 0 0
33.62  11  1 3 1
40.60  15  1 3 2
43.90  11  0 4 2
46.05  16  2 2 2
56.10  16  2 4 2
57.86  13  3 3 0
58.35  12  3 1 2
64.27  10  2 1 4

```
data_LaPr2SmTl2
_chemical_formula_sum 'La2 Pr4 Sm2 Tl4'
_cell_length_a 5.406
_cell_length_b 10.237
_cell_length_c 6.967
_cell_angle_alpha 90.00
_cell_angle_beta 90.00
_cell_angle_gamma 90.00
_space_group_name_H-M_alt 'P m c 21'
_space_group_IT_number 26
loop_
_space_group_symop_operation_xyz
'x,y,z'
'-x,-y,z+1/2'
'-x,y,z'
'x,-y,z+1/2'
loop_
_atom_site_label
_atom_site_type_symbol
_atom_site_fract_x
_atom_site_fract_y
_atom_site_fract_z
_atom_site_occupancy
La1 La 0.000 0.040 0.000 1
Pr1 Pr 0.000 0.324 0.338 1
Pr2 Pr 0.500 0.458 0.060 1
Sm1 Sm 0.500 0.180 0.725 1
Tl1 Tl 0.000 0.352 0.811 1
Tl2 Tl 0.500 0.141 0.254 1
```

=====

(3)
Ac11Ni4Hg9: theoretical powder XRD pattern (a wavelength of 1.5418 Å), based on the GGA-PBE geometry in Alexandria.
Neutral-atom scattering factors, no anomalous dispersion.

Peak list (12 most intense, 15° ≤ 2θ ≤ 90°, sorted by position)
two_theta  I/Imax  index
25.90  13  3 5 0
28.57  15  3 1 1
30.11  15  1 5 1
32.27  100  4 0 1
32.85  41  4 6 0
34.38  12  3 5 1
35.37  10  1 9 0
35.81  11  6 2 0
45.42  18  0 0 2
47.14  11  0 12 0
57.17  17  4 6 2
58.28  10  4 12 1

```
data_Ac11Ni4Hg9
_chemical_formula_sum 'Ac22 Ni8 Hg18'
_cell_length_a 15.410
_cell_length_b 23.155
_cell_length_c 3.995
_cell_angle_alpha 90.00
_cell_angle_beta 90.00
_cell_angle_gamma 90.00
_space_group_name_H-M_alt 'C m m m'
_space_group_IT_number 65
_space_group_name_Hall '-C 2 2'
loop_
_atom_site_label
_atom_site_type_symbol
_atom_site_fract_x
_atom_site_fract_y
_atom_site_fract_z
_atom_site_occupancy
Ac1 Ac 0.000 0.000 0.000 1
Ac2 Ac 0.000 0.168 0.000 1
Ac3 Ac 0.000 0.375 0.000 1
Ac4 Ac 0.191 0.500 0.000 1
Ac5 Ac 0.250 0.167 0.000 1
Ni1 Ni 0.149 0.401 0.500 1
Hg1 Hg 0.000 0.500 0.500 1
Hg2 Hg 0.105 0.264 0.500 1
Hg3 Hg 0.145 0.072 0.500 1
```